# Wanted
It remains to search the entries below for the word "the" and retype each line that has it.
# File
~~~
Entry 1:
C22H20N3O4Pd | ωB97M-V/def2-TZVPD

Kohn-Sham gap (spin up / spin down) = 6.60 / 6.59 eV
HOMO energy (spin up / spin down) = -5.11 / -5.11 eV
Net charge = -1
Energy relative to the best compared isomer or geometry (same formula, charge and spin) = 208.06 kJ/mol
2S+1 = 1
LUMO energy (spin up / spin down) = 1.486 / 1.483 eV

Last column: natural (NBO) charge in e.
CARTESIAN COORDINATES (ANGSTROEM)
Pd -0.7359 0.7213 -0.8545  1.03
O -3.1733 3.8244 -0.1500  -0.61
O -2.0141 2.1783 -1.0722  -0.72
O -2.4186 2.4733 6.0776  -0.76
O -3.3814 4.1473 4.8935  -0.74
N -2.0385 -0.8023 -1.2742  -0.48
N -1.3786 1.1996 1.3865  -0.53
N 0.5499 -0.8233 -0.7830  -0.54
C -2.4973 -2.9050 -0.5271  -0.22
C -0.0963 -1.9433 -0.5575  0.16
C -2.4610 2.8485 -0.0387  0.74
C 2.6517 0.3782 -0.7023  -0.02
C 1.9345 -0.7769 -1.0600  0.11
C 0.9113 -2.2947 -3.6498  -0.61
C -1.4797 -1.9599 -0.7500  -0.05
C 1.8537 1.4607 1.4328  -0.60
C 1.9928 1.5858 -0.0810  -0.38
C -3.3473 -0.9874 -1.3413  0.01
C -2.7577 3.0839 5.0449  0.73
C 4.6894 -0.6460 -1.4908  -0.22
C -1.1311 0.6599 2.5800  0.01
C 1.8428 -2.8738 -2.5795  -0.44
C 3.9557 -1.7251 -1.9507  -0.24
C 4.0233 0.4173 -0.9082  -0.20
C -2.2904 2.4099 3.7249  -0.05
C -3.6805 -2.2898 -0.9028  -0.32
C -2.1147 2.3173 1.3395  0.06
C -2.5794 2.9528 2.4805  -0.20
C -1.5664 1.2248 3.7628  -0.23
C 2.5752 -1.8006 -1.7911  0.05
H 2.6025 2.4606 -0.3181  0.22
H 4.5690 1.3058 -0.6120  0.21
H 0.4463 -2.8299 -0.2463  0.20
H -4.0012 -0.2083 -1.7019  0.22
H -3.1631 3.8587 2.4076  0.27
H 1.2978 -3.5757 -1.9510  0.20
H 1.2352 2.2533 1.8518  0.23
H -2.3695 -3.9026 -0.1368  0.21
H 1.4731 -1.6445 -4.3224  0.20
H 2.6088 -3.4693 -3.0801  0.20
H 1.0239 1.8186 -0.5688  0.17
H 5.7611 -0.6097 -1.6374  0.21
H 0.4694 -3.0978 -4.2413  0.21
H -4.6719 -2.7125 -0.8800  0.22
H 0.0980 -1.7112 -3.2202  0.22
H -1.3574 0.7769 4.7248  0.25
H -0.5618 -0.2649 2.5782  0.18
H 4.4566 -2.5166 -2.4961  0.20
H 2.8428 1.5062 1.8927  0.21
H 1.4022 0.5076 1.6994  0.21


Entry 2:
C22H20N4O | ωB97M-V/def2-TZVPD

SMILES string = N#C[C@]12C=C[C@](C(=O)N3Cc4cccnc4Nc4ccccc43)(CC1)CC2
Kohn-Sham gap = 8.52 eV
HOMO energy = -7.92 eV
Net charge = 0
Energy relative to the best compared isomer or geometry (same formula, charge and spin) = 327.09 kJ/mol
2S+1 = 1
LUMO energy = 0.595 eV

Last column: natural (NBO) charge in e.
CARTESIAN COORDINATES (ANGSTROEM)
O -0.3748 2.0816 -1.5642  -0.61
N -0.5905 1.2973 0.4674  -0.46
N 5.4693 -2.5162 -2.3548  -0.33
N -2.3293 -0.5382 2.0610  -0.57
N -4.3261 -0.8097 1.2393  -0.47
C 3.2379 -1.0945 -1.9840  -0.22
C -1.9010 2.0154 0.6128  -0.23
C -5.0611 0.4189 -0.6369  -0.31
C 4.4358 -1.8980 -2.2604  0.31
C 0.7184 -0.6302 4.0011  -0.21
C -3.9447 1.3057 -0.6655  -0.13
C -5.1594 -0.6046 0.2585  0.05
C -0.0265 1.1960 -0.7851  0.70
C -3.2844 0.0116 1.2898  0.39
C -1.0541 -0.1192 2.3843  0.15
C -0.5200 -0.9403 3.4083  -0.21
C 2.5350 -0.4684 -3.2251  -0.40
C -0.2300 0.7575 1.7152  0.08
C 1.0015 1.1393 2.3325  -0.19
C 1.2085 0.4239 -1.2407  -0.20
C 1.5158 0.3660 3.4455  -0.24
C 3.6243 0.0056 -1.0379  -0.18
C 2.1629 -1.9266 -1.1087  -0.37
C 0.9127 -1.0604 -0.8821  -0.40
C -3.0746 1.1669 0.4752  -0.13
C 1.3819 0.4000 -2.8260  -0.36
C 2.5206 0.8182 -0.7406  -0.11
H 1.6956 1.8681 1.9617  0.23
H 4.6636 0.2272 -0.8520  0.24
H -6.0263 -1.2111 0.2980  0.19
H -1.1539 -1.8311 3.6877  0.21
H 0.6733 -1.0568 0.1636  0.22
H -3.9568 1.9833 -1.5515  0.24
H 2.0824 -1.3373 -3.7964  0.21
H -1.8511 2.4223 1.5807  0.21
H 2.4157 0.5842 3.9952  0.22
H 0.0894 -1.5665 -1.3885  0.22
H -5.9250 0.5532 -1.3349  0.22
H -2.7573 -1.3167 2.6550  0.42
H 0.5031 -0.0060 -3.3032  0.22
H 3.1333 0.0905 -3.9442  0.24
H 2.5878 1.7404 -0.2916  0.20
H -2.0225 2.8879 0.0010  0.25
H 2.5611 -2.1634 -0.1396  0.22
H 1.4795 1.4668 -3.3762  0.23
H 1.0812 -1.2737 4.8127  0.22
H 1.8786 -2.8588 -1.5563  0.22


Entry 3:
C22H20N7NaO2S4 | ωB97M-V/def2-TZVPD

Kohn-Sham gap = 5.35 eV
HOMO energy = -1.40 eV
Net charge = -2
~~~
# Here it is
Energy relative to the best compared isomer or geometry (same formula, charge and spin) = 208.06 kJ/mol
Energy relative to the best compared isomer or geometry (same formula, charge and spin) = 327.09 kJ/mol